‘They can’t get there’
== Crystal structures, kept here for reference ==
Model A:
Sr4CaMn2Ga2O10, optimized geometry, DFT GGA+U; magnetization = 0.53 μB/atom; symmetry = No. 5
1.0
4.0055 -8.3784 0.0000
4.0055 8.3784 0.0000
-3.9682 0.0000 4.3447
Sr Ca Mn Ga O
4 1 2 2 10
Cartesian
0.0375 0.0000 1.7009 Sr
-0.1460 -3.3183 1.9917 Sr
4.0052 0.0000 2.6438 Sr
4.1887 -3.3183 2.3529 Sr
4.0055 1.5007 0.0000 Ca
2.1880 -1.7440 0.0408 Mn
1.8547 -1.7440 4.3039 Mn
2.4355 -5.5415 0.7798 Ga
1.6072 -5.5415 3.5649 Ga
-0.6573 2.6978 2.4837 O
2.0213 6.7736 2.1723 O
4.0055 6.6456 0.0000 O
1.6328 1.2303 0.0906 O
-1.6076 -3.9510 4.2149 O
4.0055 -0.6973 0.0000 O
2.0213 -1.6917 2.1723 O
4.7000 2.6978 1.8610 O
2.4099 1.2303 4.2541 O
5.6503 -3.9510 0.1298 O


Model B:
Sr4CaMn2Ga2O10, optimized geometry, DFT GGA+U; magnetization = 0.53 μB/atom; symmetry = No. 1
1.0
6.1795 0.0000 0.0000
-1.0600 6.1131 0.0000
-2.5146 -3.0921 8.2082
Sr Ca Mn Ga O
4 1 2 2 10
Cartesian
0.0000 0.0000 0.0000 Sr
-0.7893 0.6622 3.4618 Sr
-1.0856 0.8759 8.1883 Sr
2.2904 3.2446 3.4570 Sr
1.2771 -1.1023 8.0146 Ca
-1.0425 3.5328 2.1282 Mn
2.5383 0.3784 2.1306 Mn
-0.6822 3.8984 5.6827 Ga
2.1957 0.0008 5.6845 Ga
-1.2779 3.1533 4.1800 O
0.1897 5.0366 1.7487 O
0.7551 1.9793 1.7333 O
-1.1909 3.2701 7.3590 O
0.2361 -0.2473 5.9026 O
2.3334 -1.9641 5.9032 O
2.7818 0.7538 4.1819 O
3.2867 5.0047 1.7995 O
3.8536 1.9429 1.8967 O
2.7130 0.6195 7.3618 O


Model C:
Sr4CaMn2Ga2O10, optimized geometry, DFT GGA+U; magnetization = 0.52 μB/atom; symmetry = No. 1
1.0
5.8521 0.0000 0.0000
-0.1212 5.8515 0.0000
-2.8865 -2.9032 8.3934
Sr Ca Mn Ga O
4 1 2 2 10
Cartesian
0.0000 0.0000 0.0000 Sr
-0.0463 -0.0541 3.2132 Sr
-0.0802 -0.0380 8.3563 Sr
2.8651 2.9071 3.1765 Sr
-1.5276 -1.5121 5.7672 Ca
-0.0917 2.9023 1.6406 Mn
2.9033 -0.0331 1.6474 Mn
0.4122 2.4305 5.7686 Ga
2.3871 0.5152 5.7745 Ga
-0.3682 3.1750 4.2401 O
1.3454 4.3601 1.6087 O
1.4031 1.4329 1.7466 O
-0.3756 3.1887 7.2760 O
0.4385 0.4822 5.7735 O
2.3700 2.4715 5.7732 O
3.1530 -0.2375 4.2410 O
4.2681 4.3576 1.4281 O
4.3332 1.4332 1.5927 O
3.1625 -0.2541 7.2819 O


Tell me which of them is the most stable. Sure, it is model C.


Model A:
CaGa4W2O12, optimized geometry, DFT GGA+U; magnetization = 0.11 μB/atom; symmetry = No. 81
1.0
4.8448 0.0000 0.0000
0.0000 4.8448 0.0000
0.0000 0.0000 9.2052
Ca Ga W O
1 4 2 12
Cartesian
0.0000 0.0000 0.0000 Ca
0.0000 2.4224 5.3439 Ga
0.0000 2.4224 8.2539 Ga
2.4224 0.0000 0.9513 Ga
2.4224 0.0000 3.8613 Ga
0.0000 2.4224 2.3786 W
2.4224 0.0000 6.8266 W
0.8793 1.3441 6.9272 O
0.9577 1.5105 3.8494 O
1.0429 1.6236 0.8129 O
1.3441 3.9655 2.2780 O
1.5105 3.8871 5.3558 O
1.6236 3.8019 8.3923 O
3.2212 1.0429 8.3923 O
3.3343 0.9577 5.3558 O
3.5007 0.8793 2.2780 O
3.8019 3.2212 0.8129 O
3.8871 3.3343 3.8494 O
3.9655 3.5007 6.9272 O


Model B:
CaGa4W2O12, optimized geometry, DFT GGA+U; magnetization = 0.11 μB/atom; symmetry = No. 1
1.0
5.2591 0.0000 0.0000
1.5305 5.2207 0.0000
0.8700 0.5022 8.9715
Ca Ga W O
1 4 2 12
Cartesian
0.0000 0.0000 0.0000 Ca
1.5762 2.1016 4.3472 Ga
1.6415 2.0658 1.4039 Ga
5.0271 4.2851 8.9068 Ga
For totalitarians to arrive at their nirvana, they have to get through the "resistance" of common people and committed Christians; amid judgment, blessings can flow
“When the righteous rejoice, there is great glory; But when the wicked arise, men hide themselves.” Proverbs 28:12
_Here the page breaks off for records of crystals_
........
(1)
Sr2EuBiO6 | GGA-PBE | relaxed

Lattice parameters (Å, degrees): 8.639 8.639 8.639 90.00 90.00 90.00
Atoms (fractional coordinates):
Sr  0.500  0.500  0.500
Sr  0.000  0.000  0.000
Sr  0.000  0.000  0.500
Sr  0.000  0.500  0.000
Sr  0.500  0.000  0.000
Sr  0.500  0.500  0.000
Sr  0.500  0.000  0.500
Sr  0.000  0.500  0.500
Eu  0.250  0.250  0.250
Eu  0.250  0.750  0.750
Eu  0.750  0.250  0.750
Eu  0.750  0.750  0.250
Bi  0.750  0.750  0.750
Bi  0.750  0.250  0.250
Bi  0.250  0.750  0.250
Bi  0.250  0.250  0.750
O  0.213  0.296  0.509
O  0.213  0.704  0.491
O  0.787  0.296  0.491
O  0.787  0.704  0.509
O  0.296  0.509  0.213
O  0.704  0.491  0.213
O  0.296  0.491  0.787
O  0.704  0.509  0.787
O  0.509  0.213  0.296
O  0.491  0.213  0.704
O  0.491  0.787  0.296
O  0.509  0.787  0.704
O  0.287  0.204  0.991
O  0.287  0.796  0.009
O  0.713  0.204  0.009
O  0.713  0.796  0.991
O  0.204  0.991  0.287
O  0.796  0.009  0.287
O  0.204  0.009  0.713
O  0.796  0.991  0.713
O  0.991  0.287  0.204
O  0.009  0.287  0.796
O  0.009  0.713  0.204
O  0.991  0.713  0.796

Output
- total energy after the MP2020 corrections (eV/f.u.) = -73.1
- total magnetic moment (Bohr magnetons per cell) = 24.00

=====

(2)
Eu2BiS4 | GGA-PBE | relaxed

Lattice parameters (Å, degrees): 4.067 11.591 14.646 90.00 90.00 90.00
Atoms (fractional coordinates):
Eu  0.250  0.772  0.155
Eu  0.250  0.272  0.345
Eu  0.750  0.228  0.845
Eu  0.750  0.728  0.655
Eu  0.250  0.611  0.403
Eu  0.250  0.111  0.097
Eu  0.750  0.389  0.597
Eu  0.750  0.889  0.903
Bi  0.250  0.564  0.892
Bi  0.250  0.064  0.608
Bi  0.750  0.436  0.108
Bi  0.750  0.936  0.392
S  0.250  0.515  0.212
S  0.250  0.015  0.288
S  0.750  0.485  0.788
S  0.750  0.985  0.712
S  0.250  0.762  0.799
S  0.250  0.262  0.701
S  0.750  0.238  0.201
S  0.750  0.738  0.299
S  0.250  0.561  0.595
S  0.250  0.061  0.905
S  0.750  0.439  0.405
S  0.750  0.939  0.095
S  0.250  0.828  0.517
S  0.250  0.328  0.983
S  0.750  0.172  0.483
S  0.750  0.672  0.017

Output
- total energy after the MP2020 corrections (eV/f.u.) = -52.7

=====

(3)
Eu2ZnBi2 | GGA-PBE | relaxed

Lattice parameters (Å, degrees): 4.845 4.845 8.207 90.00 90.00 120.08
Atoms (fractional coordinates):
Eu  0.000  0.000  0.524
Eu  0.000  0.000  0.976
Zn  0.667  0.333  0.250
Bi  0.667  0.333  0.750
Bi  0.334  0.666  0.250

Output
- total magnetic moment (Bohr magnetons per cell) = 13.93

=====

(4)
BiF5 | GGA-PBE | relaxed

Lattice parameters (Å, degrees): 6.102 6.102 8.931 90.00 90.00 143.52
Atoms (fractional coordinates):
Bi  0.500  0.500  0.500
Bi  0.500  0.500  0.000
F  0.508  0.492  0.250
F  0.492  0.508  0.750
F  0.927  0.073  0.592
F  0.073  0.927  0.408
F  0.667  0.333  0.936
F  0.333  0.667  0.064
F  0.333  0.667  0.436
F  0.667  0.333  0.564
F  0.927  0.073  0.908
F  0.073  0.927  0.092

Output
- total energy after the MP2020 corrections (eV/f.u.) = -25.5
- total magnetic moment (Bohr magnetons per cell) = 0.00
........
Often at church I sketch out the sermon. This Sunday I sketched out a picture of the effects of the Lord Jesus’ resurrection in light of national breakup amid a growth in tyranny from which even federal administrators of it (aka, “the states”) recoil.
By David Tulis / NoogaRadio Network
CHATTANOOGA, Tenn., Sunday, April 9, 2023 — Framed at the left are “the enemy.” In the center, the object of interest: Christendom and God’s people, and their areas of growth, sanctification and capitalization (and, necessarily, of resistance). On the right side of the frame, the desiderata of the enemy – that list of concepts and ideas that, to them, is victory.
The parties of the enemy are big tech, state-approved universities, woke publishers and propagandists, big government per se, commercial government, the bar, WEF — and so on. The NWO rising from underneath us, from our own pockets (smart phone), techno-centric, participatory public-private economy, ESG and green standards-keeping, stakeholder capitalism, monopolies and cartels, the reign of big pharma, total surveillance for profit, and a police state. These are as much the consequences of these actors as the acts themselves.
In the middle, yes, Christendom and its revival with a strong and growing interest in the law of God in the particulars. The fruits of this belief in God’s claims upon us would be Christian reconstruction and rebuilding, including pro-life, home education, private activity, local churches or home churches versus religious organizations and the like.
To get to their long-term goals, those I call “the good people” have to get through the resistance. God’s people are joined by others under common grace who are part of the “parallel economy” that came into view in 2020 with the states converting themselves into penal colonies at the behest of Washington and other interests.
Essential elements of liberty in a bloc
The elements of Christian revival that will curtail and block the enemies of God and man are private charity, private education, private membership associations, childbirth with large families, proximity of family, common law marriage, small business, private trades, charity work among children becoming businesses starting at the home, use of old or fixed or salvaged equipment or property (to avoid chips, bad manufacturing), small gardens, homesteads, apprenticeships, rejection of social security numbers for a new generation, being a nontaxpayer vs. a taxpayer, use of gold and silver in business, off-grid savings and capital, study of God’s law, “big godder” vs. “small godder” theological premises (the power of the Holy Spirit, favor of small over big, near over far, personal over corporate, local over national, simple over complex); a decentralized view of reality, suspicion of “progressive” solutions; involvement in town councils, utility districts and school boards; use of decentralized systems such as local radio, local press and podcasts; commitment to small arms, using, storing, wearing; food and water stores, the gleaning principle of charity, investing in small shops locally, divesting from national and fractional and paper economies; use of courts and remedies such as habeas corpus, mandamus and injunction, demand for trial (no plea bargaining); travel versus driving, aid for people with small claims in courts, defeating local government and commercial government, jury service to nullify prosecution and persecution against people who have committed no sin but whom are being fed to the police growth industry and crooked courts.
This diagram is great!
Perfect message for this special day!